Source >
'''
{
  "formula": "C22H26Cl3GeN2O5SSiZn",
  "method": "wB97M-V/def2-TZVPD",
  "species": ["Zn", "O", "C", "C", "C", "C", "C", "C", "N", "H", "H", "H", "H", "H", "H", "H", "O", "S", "O", "O", "O", "N", "C", "C", "C", "C", "C", "C", "C", "C", "C", "C", "C", "C", "C", "H", "H", "H", "H", "H", "H", "H", "H", "H", "H", "Cl", "Ge", "Cl", "Cl", "C", "Si", "C", "C", "H", "H", "H", "H", "H", "H", "H", "H", "H"],
  "xyz": [[0.261, 1.087, 0.377], [-1.798, 1.883, 0.482], [-2.585, 1.450, 1.574], [-1.917, 0.303, 2.282], [-2.458, -0.234, 3.445], [-1.802, -1.278, 4.059], [-0.622, -1.762, 3.502], [-0.151, -1.173, 2.350], [-0.800, -0.167, 1.748], [-2.318, 1.824, -0.339], [-3.570, 1.125, 1.231], [-2.703, 2.276, 2.281], [-3.384, 0.168, 3.833], [-2.201, -1.719, 4.964], [-0.066, -2.570, 3.957], [0.777, -1.478, 1.887], [0.519, 2.801, -0.897], [1.333, 1.942, -1.798], [1.432, 2.434, -3.142], [0.745, 0.569, -1.652], [2.723, 1.846, -1.165], [2.111, 0.735, 1.048], [2.250, 0.833, 2.374], [1.347, 1.699, 3.121], [0.914, 1.427, 4.444], [-0.084, 2.160, 5.045], [-0.707, 3.224, 4.378], [-0.273, 3.535, 3.095], [0.728, 2.800, 2.478], [3.229, 0.062, 3.160], [3.554, -1.263, 2.835], [4.467, -1.990, 3.580], [5.099, -1.423, 4.681], [4.797, -0.107, 5.017], [3.883, 0.619, 4.274], [1.344, 0.585, 4.974], [-0.409, 1.889, 6.044], [-1.497, 3.791, 4.853], [-0.716, 4.366, 2.557], [1.087, 3.108, 1.502], [3.078, -1.718, 1.980], [4.686, -3.014, 3.296], [5.820, -1.990, 5.258], [5.290, 0.364, 5.862], [3.676, 1.649, 4.537], [-4.182, 1.033, -1.522], [-3.241, -1.093, -1.188], [-4.620, -2.239, -2.611], [-4.474, -1.554, 0.725], [4.927, 0.762, 0.591], [3.353, 0.293, -0.378], [4.282, 0.022, -2.087], [2.758, -1.544, -0.447], [5.665, 1.173, -0.100], [5.372, -0.109, 1.080], [4.726, 1.500, 1.370], [4.959, -0.843, -2.024], [4.870, 0.899, -2.374], [3.569, -0.174, -2.895], [3.599, -2.190, -0.167], [2.501, -1.788, -1.480], [1.900, -1.802, 0.175]],
  "nbo_charge": [1.7071, -0.7741, -0.1261, 0.2506, -0.2399, -0.1446, -0.2700, 0.0755, -0.5796, 0.5319, 0.2339, 0.1971, 0.2170, 0.2046, 0.2181, 0.2282, -1.0930, 2.5858, -0.9744, -1.0960, -1.0326, -1.1739, 0.0878, 0.0042, -0.2556, -0.2293, -0.3146, -0.1976, -0.3399, -0.0770, -0.2222, -0.2110, -0.2748, -0.2418, -0.1711, 0.2088, 0.1903, 0.1920, 0.2039, 0.2484, 0.2256, 0.1941, 0.1902, 0.1909, 0.2043, -0.6229, 0.8781, -0.5950, -0.6237, -1.1370, 1.9174, -1.1291, -1.1234, 0.2152, 0.2231, 0.2224, 0.1825, 0.1990, 0.2103, 0.2088, 0.2307, 0.1924],
  "relative_energy_ev": 0.190,
  "homo_lumo_gap_ev": [4.31, 6.92],
  "multiplicity": 2,
  "total_charge": -2
}
'''

Assignment >
Filter the rows above: keep the lines with the word "wB97M-V".

Done >
  "method": "wB97M-V/def2-TZVPD",